**Job**
Could you return the part of the entries further below that starts with the line with "Electronic energy" and stops after the one with "-3.0940 -3.9765"?
**Listing**
........
Entry from the Open Molecules 2025 dataset: an isolated molecule of C18H25NO7 in a non-equilibrium geometry (the ωB97M-V functional and the def2-TZVPD basis).

Geometry as ORCA input:
```
! RIJCOSX wB97M-V def2-TZVPD def2/J DEFGRID3
* xyz 0 1
C -0.0285 -3.8190 4.1554
C -1.2390 -3.1190 4.7543
O -1.9265 -2.3411 3.7675
C -1.4583 -1.1211 3.5207
O -0.5447 -0.6012 4.0981
C -2.2459 -0.4713 2.3833
C -2.0346 1.0413 2.3661
C -2.9890 1.7416 1.3979
C -2.5637 3.1875 1.1027
C -1.8227 3.3484 -0.2252
C -0.5470 2.5170 -0.3150
O 0.0780 2.8338 -1.5524
C 1.1028 2.0859 -1.9909
C 1.6178 0.9613 -1.3372
C 2.6682 0.2656 -1.8959
C 3.2233 0.6819 -3.1012
N 4.3111 -0.0467 -3.6721
O 4.7750 0.3524 -4.7234
O 4.7138 -1.0290 -3.0779
C 2.7212 1.8051 -3.7585
C 1.6719 2.4963 -3.2075
C -1.6960 -1.1116 1.1147
O -0.7541 -0.6866 0.4962
O -2.3659 -2.2128 0.8071
C -1.9199 -2.9568 -0.3329
C -2.4482 -2.3611 -1.6292
H 0.4393 -4.4460 4.9087
H -0.3304 -4.4387 3.3143
H 0.6951 -3.0835 3.8119
H -0.9327 -2.4599 5.5727
H -1.9780 -3.8394 5.1095
H -3.2949 -0.7556 2.4864
H -0.9989 1.2278 2.0838
H -2.1763 1.4334 3.3742
H -3.0390 1.1825 0.4617
H -3.9910 1.7331 1.8316
H -3.4474 3.8263 1.0632
H -1.9350 3.5512 1.9171
H -1.5588 4.3981 -0.3665
H -2.4795 3.0607 -1.0487
H -0.7805 1.4499 -0.2756
H 0.1339 2.7659 0.5096
H 1.1963 0.6146 -0.4084
H 3.0732 -0.6070 -1.4068
H 3.1672 2.1110 -4.6922
H 1.2602 3.3665 -3.6930
H -2.3060 -3.9654 -0.1757
H -0.8253 -2.9710 -0.3406
H -2.1539 -2.9910 -2.4634
H -3.5331 -2.2954 -1.5990
H -2.0353 -1.3667 -1.7804
*
```

Properties
Electronic energy (hartree): -1282.27046
Energy relative to the best compared isomer or geometry (same formula, charge and spin) (eV): 1.168
SMILES: CCOC(=O)C(CCCCCOc1ccc([N+](=O)[O-])cc1)C(=O)OCC
LUMO level (eV): 0.0
Gap between HOMO and LUMO (eV): 8.9

What are the Löwdin partial charges on each atom? They are as follows, in elementary charge units: -0.06, -0.20, 0.01, -0.46, 0.14, -0.11, -0.15, -0.19, -0.19, -0.17, -0.19, -0.02, -0.25, 0.01, 0.02, -0.17, -0.37, 0.07, 0.07, 0.01, 0.01, -0.46, 0.12, 0.02, -0.20, -0.06, 0.08, 0.08, 0.08, 0.12, 0.12, 0.17, 0.11, 0.13, 0.11, 0.11, 0.11, 0.11, 0.12, 0.12, 0.10, 0.14, 0.10, 0.12, 0.12, 0.12, 0.13, 0.13, 0.08, 0.08, 0.07

=====

Entry from the Open Molecules 2025 dataset: a structure of composition C33H46BBrMnN12OS3Se in a non-equilibrium geometry (the ωB97M-V functional and the def2-TZVPD basis).

Geometry as ORCA input:
```
! RIJCOSX wB97M-V def2-TZVPD def2/J DEFGRID3
* xyz 0 2
Mn 0.0406 -0.8640 -0.8359
C 4.2191 -3.5523 1.8543
C 3.0347 -2.9040 1.1250
C 2.1662 -3.9307 0.3988
C 3.5829 -1.9181 0.0960
N 2.1720 -2.2638 2.1260
C 1.7794 -2.9435 3.2558
C 0.8463 -2.1987 3.8825
N 0.6327 -1.0696 3.1464
B -0.4560 -0.0512 3.5449
N -1.8318 -0.4252 2.9548
C -2.9496 0.1272 3.5149
C -4.0386 -0.4477 2.9658
N -3.6068 -1.3750 2.0483
C -2.2448 -1.3249 2.0414
S -1.2393 -2.3165 1.0976
C -4.4733 -2.3506 1.3699
C -4.2565 -2.3088 -0.1424
C -4.1402 -3.7458 1.9061
C -5.9399 -2.0182 1.6483
N 0.0196 1.3491 3.1573
C 1.1571 1.8388 3.7425
C 1.4831 3.0018 3.1481
N 0.5358 3.2540 2.1879
C -0.3619 2.2277 2.2073
S -1.7549 2.1105 1.2852
C 0.4662 4.4445 1.3479
C 1.7096 5.3039 1.5703
C 0.3950 4.0400 -0.1245
C -0.7856 5.2308 1.7500
C 1.4246 -1.1311 2.0613
S 1.5285 0.1049 0.8921
H 4.9745 -3.8458 1.1327
H 3.9300 -4.4428 2.4026
H 4.6697 -2.8438 2.5462
H 2.7394 -4.4294 -0.3758
H 1.3261 -3.4049 -0.0698
H 1.7634 -4.6728 1.0819
H 4.3293 -2.4240 -0.5115
H 4.0379 -1.0566 0.5790
H 2.7735 -1.5801 -0.5632
H 2.1769 -3.9001 3.5202
H 0.3192 -2.3757 4.7963
H -0.5399 -0.0872 4.7382
H -2.8756 0.8925 4.2599
H -5.0676 -0.2370 3.1509
H -3.2412 -2.5999 -0.3981
H -4.4476 -1.3111 -0.5288
H -4.9339 -3.0024 -0.6328
H -3.0940 -3.9765 1.7204
H -4.7477 -4.4856 1.3956
H -4.3295 -3.8096 2.9759
H -6.1746 -1.0079 1.3202
H -6.1893 -2.1287 2.7014
H -6.5596 -2.7054 1.0804
H 1.6265 1.3171 4.5504
H 2.3110 3.6466 3.3468
H 2.6103 4.7626 1.2909
H 1.7835 5.6298 2.6038
H 1.6360 6.1916 0.9504
H 1.1986 3.3558 -0.3832
H 0.4647 4.9258 -0.7495
H -0.5454 3.5427 -0.3361
........
**Response**
Electronic energy (hartree): -1282.27046
Energy relative to the best compared isomer or geometry (same formula, charge and spin) (eV): 1.168
SMILES: CCOC(=O)C(CCCCCOc1ccc([N+](=O)[O-])cc1)C(=O)OCC
LUMO level (eV): 0.0
Gap between HOMO and LUMO (eV): 8.9

What are the Löwdin partial charges on each atom? They are as follows, in elementary charge units: -0.06, -0.20, 0.01, -0.46, 0.14, -0.11, -0.15, -0.19, -0.19, -0.17, -0.19, -0.02, -0.25, 0.01, 0.02, -0.17, -0.37, 0.07, 0.07, 0.01, 0.01, -0.46, 0.12, 0.02, -0.20, -0.06, 0.08, 0.08, 0.08, 0.12, 0.12, 0.17, 0.11, 0.13, 0.11, 0.11, 0.11, 0.11, 0.12, 0.12, 0.10, 0.14, 0.10, 0.12, 0.12, 0.12, 0.13, 0.13, 0.08, 0.08, 0.07

=====

Entry from the Open Molecules 2025 dataset: a structure of composition C33H46BBrMnN12OS3Se in a non-equilibrium geometry (the ωB97M-V functional and the def2-TZVPD basis).

Geometry as ORCA input:
```
! RIJCOSX wB97M-V def2-TZVPD def2/J DEFGRID3
* xyz 0 2
Mn 0.0406 -0.8640 -0.8359
C 4.2191 -3.5523 1.8543
C 3.0347 -2.9040 1.1250
C 2.1662 -3.9307 0.3988
C 3.5829 -1.9181 0.0960
N 2.1720 -2.2638 2.1260
C 1.7794 -2.9435 3.2558
C 0.8463 -2.1987 3.8825
N 0.6327 -1.0696 3.1464
B -0.4560 -0.0512 3.5449
N -1.8318 -0.4252 2.9548
C -2.9496 0.1272 3.5149
C -4.0386 -0.4477 2.9658
N -3.6068 -1.3750 2.0483
C -2.2448 -1.3249 2.0414
S -1.2393 -2.3165 1.0976
C -4.4733 -2.3506 1.3699
C -4.2565 -2.3088 -0.1424
C -4.1402 -3.7458 1.9061
C -5.9399 -2.0182 1.6483
N 0.0196 1.3491 3.1573
C 1.1571 1.8388 3.7425
C 1.4831 3.0018 3.1481
N 0.5358 3.2540 2.1879
C -0.3619 2.2277 2.2073
S -1.7549 2.1105 1.2852
C 0.4662 4.4445 1.3479
C 1.7096 5.3039 1.5703
C 0.3950 4.0400 -0.1245
C -0.7856 5.2308 1.7500
C 1.4246 -1.1311 2.0613
S 1.5285 0.1049 0.8921
H 4.9745 -3.8458 1.1327
H 3.9300 -4.4428 2.4026
H 4.6697 -2.8438 2.5462
H 2.7394 -4.4294 -0.3758
H 1.3261 -3.4049 -0.0698
H 1.7634 -4.6728 1.0819
H 4.3293 -2.4240 -0.5115
H 4.0379 -1.0566 0.5790
H 2.7735 -1.5801 -0.5632
H 2.1769 -3.9001 3.5202
H 0.3192 -2.3757 4.7963
H -0.5399 -0.0872 4.7382
H -2.8756 0.8925 4.2599
H -5.0676 -0.2370 3.1509
H -3.2412 -2.5999 -0.3981
H -4.4476 -1.3111 -0.5288
H -4.9339 -3.0024 -0.6328
H -3.0940 -3.9765 1.7204